This page is about how car repair manuals can help you fix automobiles right, on the first attempt. Don’t worry, you do not have to buy anything on this page to walk away with some helpful knowledge.
The idea here is to open your mind to the different choices you have when you realize you need professional reference materials to get the family car fixed.
There are free auto repair videos below that contain professional tips and advice for solving car problems at home. However, if you’re open minded to buying a service manual don’t buy an out dated paper one just yet.
How to Find Car Repair Manuals
Most auto repair shops have stopped purchasing printed books and I think you should too. The standard printed auto repair manual becomes cumbersome to use when compared to PC based solutions. For this reason, at my shop we use the stacks of useless paper we bought to hold open doors on windy days.

Each one of these books originally cost over $100 and some much more. What a waste of trees and money. Downloadable PDF online service manuals are a fraction of this cost yet contain easier to find information.
If you’re the kind of person that likes words on paper just hit the print button. You can print as many individual pages as you want. Then take them out to the vehicle and start fixing individual problems.
My name is Mark and I posted a demo video below so you can see how this works. I’ve used many online repair diagrams currently offered to auto shops and professional mechanics.
There are major differences between each supplier of these programs. The massive amount of information provided for each model can be overwhelming. Sometimes you get lost. Even worse, you start to think what your looking for isn’t in there.

_Data records, kept here for reference_
<<<
{"formula": "TmHfSc2", "functional": "PBE", "state": "optimized geometry", "lattice_angstrom": [[3.297, 0.000, 0.000], [1.649, 2.856, 0.000], [1.649, 0.952, 10.609]], "species": ["Tm", "Hf", "Sc", "Sc"], "fractional_positions": [[0.501, 0.501, 0.498], [0.666, 0.666, 0.002], [0.079, 0.079, 0.764], [0.255, 0.255, 0.236]], "formation_enthalpy_0k_kj_per_mol_fu": 22, "space_group": "R3m", "polymorph_energy_kj_per_mol_fu": 0, "total_magnetization_mub_per_cell": 0.016}

---

{"formula": "Tm2HfSc6", "functional": "PBE", "state": "optimized geometry", "lattice_angstrom": [[-1.774, -0.951, -2.594], [4.316, -7.836, -0.081], [-7.499, 0.927, 4.790]], "species": ["Tm", "Tm", "Hf", "Sc", "Sc", "Sc", "Sc", "Sc", "Sc"], "fractional_positions": [[0.000, 0.333, 0.667], [0.000, 0.667, 0.333], [0.500, 0.000, 0.000], [0.000, 0.704, 0.000], [0.000, 0.000, 0.704], [0.000, 0.296, 0.296], [0.500, 0.654, 0.654], [0.500, 0.000, 0.346], [0.500, 0.346, 0.000]], "formation_enthalpy_0k_kj_per_mol_fu": 39, "space_group": "P-62m", "polymorph_energy_kj_per_mol_fu": 0, "total_magnetization_mub_per_cell": 0.000}

---

{"formula": "TmHfSc", "functional": "PBE", "state": "optimized geometry", "lattice_angstrom": [[3.283, 0.000, 0.000], [0.000, 5.145, 0.000], [0.000, -2.572, 4.456]], "species": ["Sc", "Tm", "Hf"], "fractional_positions": [[0.167, 0.000, 0.000], [0.667, 0.667, 0.333], [0.167, 0.333, 0.667]], "formation_enthalpy_0k_kj_per_mol_fu": 38, "space_group": "P-6m2", "polymorph_energy_kj_per_mol_fu": 14, "total_magnetization_mub_per_cell": 0.005}

---

{"formula": "TmHf2Sc3", "functional": "PBE", "state": "optimized geometry", "lattice_angstrom": [[3.164, 0.000, 0.000], [0.000, 9.355, -0.470], [-1.582, -2.811, 10.246]], "species": ["Tm", "Tm", "Hf", "Hf", "Hf", "Hf", "Sc", "Sc", "Sc", "Sc", "Sc", "Sc"], "fractional_positions": [[0.318, 0.961, 0.635], [0.682, 0.039, 0.365], [0.307, 0.626, 0.614], [0.693, 0.374, 0.386], [0.927, 0.849, 0.854], [0.073, 0.151, 0.146], [0.304, 0.294, 0.607], [0.062, 0.777, 0.125], [0.440, 0.560, 0.879], [0.696, 0.706, 0.393], [0.560, 0.440, 0.121], [0.938, 0.223, 0.875]], "formation_enthalpy_0k_kj_per_mol_fu": 104, "space_group": "C2/m", "total_magnetization_mub_per_cell": 0.000}

---

{"formula": "TmHfSc6", "functional": "PBE", "state": "optimized geometry", "lattice_angstrom": [[4.524, 0.000, 0.000], [0.000, 6.507, -1.109], [0.000, 1.106, 6.508]], "species": ["Tm", "Hf", "Sc", "Sc", "Sc", "Sc", "Sc", "Sc"], "fractional_positions": [[0.500, 0.125, 0.875], [0.500, 0.625, 0.375], [0.500, 0.125, 0.375], [0.500, 0.625, 0.875], [0.000, 0.386, 0.136], [0.000, 0.864, 0.614], [0.000, 0.387, 0.613], [0.000, 0.863, 0.137]], "formation_enthalpy_0k_kj_per_mol_fu": 45, "space_group": "P4/mmm", "polymorph_energy_kj_per_mol_fu": 23, "total_magnetization_mub_per_cell": 0.000}

---
>>>

For the record, if you bought a complete factory manual, it contains what you need to fix most problems. This brings me back to the most important part in my mind. Quickly finding the diagrams and tree chart in a car repair manual.
You want to spend time fixing the car not searching down the information you need to get it done correctly. After experimenting with different brands there’s no question that Tradebit spent a lot time creating a friendly experience.
The most important function for mechanics is to find stuff quickly. As a result, they put car brands and then models in alphabetical order. I provide examples of how to use this car repair information in the video below.
You can go directly to it, but if you hang around for a few minutes I will provide some unique information about the program and additional videos and support articles below that explains some key features that are exclusive to computer based online service manuals.
Fresh Auto Repair Advice

Every professional or do it yourself mechanic needs the right tools to get the job done efficiently. Consider reliable information as the most valuable tool to guide you to success with logical proven procedures.
Online car repair manuals aren’t new to the auto service industry. In fact, they’ve been around for at least the last 15 years. At first they delivered these programs to shops on CD’s.
With the faster speeds and popularity of the internet we have taken the next step forward. Now you can buy web-based car repair manuals. This online system allows the information to flow to the people that fix cars at home.

The automobile can be a complex mechanical device. Certain models may develop problems that seem impossible to repair the average DIY mechanic.
But what if you had step by step instructions to guide you through the complicated procedure. You can get this information right now without waiting for delivery.
This is why the online service manual is far superior to any printed book. The learning curve for this web-based system is small.
Let me show you a few tricks that will make it even easier to become an expert at using the troubleshooting diagrams. Bookmark this page and come back to review these helpful tips after you gain access.
More Car Repair Manual Information
Auto repair bulletins are a major advantage to the online troubleshooting manual over the paper made counter part. Therefore, this next link takes you to another video and great examples of real automotive service bulletins.
Wiring diagrams are a strong feature of the PDF service manual program. The actual wire schematics come from factory sourced materials. This next video shows you how to find them and properly use these wiring diagrams.
It’s a pain digging through the massive amounts of information in the car repair manuals to pinpoint the single page you need. This next video puts you on the path to success in finding auto repair information.
Tradebit just performed an extreme make-over to the look and feel of their web-based repair manuals. As a result, It looks much cleaner than the old site and uses pictures of brands and models. They’ve also changed the search feature a little bit. Let me show you the improvements to there online car service manuals.
Some people consider spending money on information a wasteful use of resources. Give me a shot at explaining why this isn’t true. See why you should consider using factory service manuals.
A no start condition can send even the most experienced technician running for a car repair manual. This next page discusses some tools and troubleshooting techniques for diagnosing no starts.
Some people don’t like auto repair manuals of any kind. However, If this applies to you and you want the answer to a specific auto repair question then learn how real mechanics can provide car repair help directly.
If you would like to learn more about the car mechanic that built this website the next link takes you to the YouFixCars.com homepage.